[Source]
/*
Entry 1:
A 2-piece molecular cluster, C7H7Cl2FNS overall at a distorted geometry, computed with ωB97M-V/def2-TZVPD.

Structure (XYZ):
```
19
Properties=species:S:1:pos:R:3:mulliken_charge:R:1
C 0.9499 -0.4527 0.8297 -0.433
C 1.7742 0.1217 1.7212 -0.697
C -0.6077 1.4676 1.0201 -0.512
C -0.2900 0.1612 0.4276 0.918
C 1.4194 1.2980 2.3401 0.271
C 0.2205 2.0251 1.9169 0.097
C -1.1229 -0.6128 -0.4033 -0.012
N -2.3415 -0.4446 -0.7179 -0.285
F 0.9606 -1.9332 -3.5996 -0.244
S 0.3191 -3.1167 -4.5735 0.078
Cl 2.5473 2.1506 3.3868 -0.111
Cl -0.0427 3.5442 2.5986 -0.144
H 1.2100 -1.3420 0.2844 0.378
H 2.6615 -0.3705 2.0965 0.402
H -1.5555 1.9758 0.8090 0.294
H -0.5901 -1.4069 -0.8861 0.306
H -3.0790 -1.1473 -1.1405 0.327
H 0.3605 -2.2946 -5.5976 0.173
H -2.7936 0.3772 -0.5123 0.195
```

Computed properties:
HOMO-LUMO gap = 0.25997 Eh
Charge = +1
Multiplicity = 1
LUMO = -5.35 eV

=====

Entry 2:
A 2-piece molecular cluster, C7H7ClF3N2O2 overall at a distorted geometry, computed with ωB97M-V/def2-TZVPD.

Structure (XYZ):
```
22
Properties=species:S:1:pos:R:3:mulliken_charge:R:1
C 0.1977 0.8223 -1.0516 -0.373
C 1.3473 1.6606 -1.2040 -0.740
C 0.0642 -0.0137 -0.0085 0.224
C 2.4677 1.3226 -0.4191 0.296
C 1.0029 -0.1350 1.1082 -0.436
C 2.3339 0.3518 0.5884 -0.877
C 2.8901 -1.7295 -0.7758 0.722
N 3.3238 0.1018 1.6193 1.063
N -1.2851 -0.6904 0.1182 -0.173
O 2.9419 -0.3825 2.6712 -0.603
O 4.4710 0.2689 1.2917 -0.553
F 4.0950 -2.1474 -0.7535 -0.150
F 1.9204 -2.5544 -0.3372 -0.200
F 2.6355 -1.1543 -1.9837 -0.207
Cl 4.0490 2.0284 -0.6945 -0.092
H -0.6424 0.9798 -1.8507 0.251
H 1.3969 2.4391 -1.9546 0.449
H 0.5494 0.5155 2.0390 0.449
H 0.9480 -1.1208 1.4037 0.774
H -1.1662 -1.3796 0.9550 0.426
H -1.6059 -1.0704 -0.8072 0.395
H -2.1125 -0.1434 0.1716 0.354
```

Computed properties:
HOMO-LUMO gap (alpha / beta) = 0.25916 / 0.29452 Eh
Charge = +1
Multiplicity = 1
LUMO (alpha / beta) = -5.54 / -4.36 eV

=====

Total energy values, unit eV, following the record order: -47451.738 -35108.067.
*/
[Wanted]
Restate the lines earlier on from the one with "-5.35 eV" to the one with "3.3238 0.1018" verbatim, please.
[Done]
LUMO = -5.35 eV

=====

Entry 2:
A 2-piece molecular cluster, C7H7ClF3N2O2 overall at a distorted geometry, computed with ωB97M-V/def2-TZVPD.

Structure (XYZ):
```
22
Properties=species:S:1:pos:R:3:mulliken_charge:R:1
C 0.1977 0.8223 -1.0516 -0.373
C 1.3473 1.6606 -1.2040 -0.740
C 0.0642 -0.0137 -0.0085 0.224
C 2.4677 1.3226 -0.4191 0.296
C 1.0029 -0.1350 1.1082 -0.436
C 2.3339 0.3518 0.5884 -0.877
C 2.8901 -1.7295 -0.7758 0.722
N 3.3238 0.1018 1.6193 1.063